_Excerpt_
-- begin --
Entry 1:
{
  "formula": "H4N2O",
  "method": "ωB97M-V/def2-TZVPD",
  "e_homo_ev": -8.966,
  "e_above_lowest_kj_mol": 24.0,
  "e_lumo_ev": 0.4,
  "molar_mass_g_mol": 48.045,
  "smiles": "[H]/N=N\\[H].O",
  "elements": ["H", "N", "O", "H", "H", "N", "H"],
  "xyz": [[-1.7630, 0.9500, -0.1719], [-1.3143, -0.8306, -0.0002], [1.8591, -0.3024, 0.0183], [-0.3460, -0.5635, -0.2267], [1.8695, 0.1684, 0.8512], [-2.1095, 0.0651, 0.0967], [1.8042, 0.5131, -0.5675]],
  "nbo_charge": [0.2679, -0.2855, -0.9249, 0.3010, 0.4679, -0.2912, 0.4648]
}

Entry 2:
{
  "formula": "H4N2O2P",
  "method": "ωB97M-V/def2-TZVPD",
  "e_homo_ev": -3.991,
  "e_above_lowest_kj_mol": 567.5,
  "charge": -1,
  "e_lumo_ev": 4.5,
  "molar_mass_g_mol": 95.018,
  "smiles": "NN[P@H](=O)[O-]",
  "elements": ["O", "N", "O", "H", "H", "P", "H", "H", "N"],
  "xyz": [[2.6063, 1.0328, -0.1335], [-1.5395, -0.0373, 0.3255], [1.0058, -1.6431, -0.0203], [-1.6632, -0.8004, 1.1208], [-0.1399, 1.5530, 0.4648], [0.9538, -0.1818, -0.3453], [0.2679, 0.0367, -1.5300], [-1.2536, -0.4740, -0.5918], [-0.2376, 0.5141, 0.7098]],
  "nbo_charge": [-1.0877, -0.6829, -1.1398, 0.3546, 0.3604, 1.8605, -0.1927, 0.3310, -0.8034]
}

Entry 3:
{
  "formula": "H4N2O2P",
  "method": "ωB97M-V/def2-TZVPD",
  "e_homo_ev": [-1.940, -2.026],
  "e_above_lowest_kj_mol": 505.6,
  "charge": -1,
  "e_lumo_ev": [4.5, 4.5],
  "molar_mass_g_mol": 95.018,
  "elements": ["O", "H", "O", "P", "H", "H", "N", "N", "H"],
  "xyz": [[-0.9679, 1.9552, 0.3487], [-2.4705, 0.3297, -0.5354], [-2.6191, -0.5641, -0.4918], [-0.2007, 0.7864, -0.3172], [2.1727, -0.5503, -0.6247], [1.4278, 1.9643, 0.3036], [1.3587, 1.0612, -0.0158], [2.4957, 0.3489, -0.2229], [-1.7826, -0.8741, -0.6984]],
  "nbo_charge": [-1.1690, 0.4700, -0.9452, 1.0001, 0.2653, 0.3749, -0.6813, -0.7740, 0.4592]
}

----------

149
Properties=species:S:1:pos:R:3:forces:R:3:mulliken_charge:R:1 method="wB97M-V/def2-TZVPD" total_energy_ha=-5924.2145 fmax_ha_per_bohr=0.014
C 5.714 2.948 3.273 -0.1676 0.2023 -0.0857 -1.34
C 6.352 3.091 1.904 -0.0963 0.2129 0.2543 0.42
Cl 6.189 1.520 1.048 0.0563 -0.1179 -0.0242 -0.20
C 5.804 4.231 1.020 -0.1126 -0.3390 -0.2157 -1.69
C 4.342 4.536 1.182 -0.3990 0.3004 0.2968 0.36
C 3.844 5.350 2.168 -0.0115 -0.3971 -0.4297 -0.48
C 2.443 5.593 2.340 0.0026 -0.0732 -0.4514 -0.06
O 2.096 6.490 3.341 -0.3208 -0.2567 -0.1181 -0.61
C 1.481 5.056 1.514 0.2944 0.4693 0.4831 0.07
C -0.003 5.292 1.651 0.0454 -0.3536 -0.0366 -0.73
C -0.534 4.933 3.039 0.0315 0.1032 -0.1263 -1.25
C -2.048 4.925 3.087 0.0795 0.3907 0.2127 0.71
F -2.488 6.220 3.193 0.0742 -0.3380 -0.0311 -0.36
F -2.624 4.421 1.966 0.0639 0.0926 0.0719 -0.13
C -2.628 4.165 4.316 -0.2497 0.0274 -0.1994 0.92
F -1.779 4.312 5.358 -0.1294 0.0106 0.0455 -0.31
F -3.814 4.709 4.664 0.1225 -0.0399 -0.0693 -0.34
C -2.939 2.645 4.134 0.0365 -0.1092 0.0294 0.00
F -3.855 2.494 3.159 -0.0924 -0.0400 0.2001 -0.21
F -3.472 2.224 5.298 0.1021 0.0815 -0.0515 -0.33
C -1.726 1.754 3.768 0.0502 0.0753 -0.4105 0.66
F -0.729 1.959 4.647 -0.0826 -0.0043 0.0844 -0.31
F -1.311 2.147 2.537 0.0603 -0.1082 0.1843 -0.18
C -2.009 0.232 3.663 0.0078 -0.0077 0.0955 0.62
F -2.717 -0.002 2.547 -0.0597 0.0094 0.1136 -0.23
F -2.727 -0.175 4.727 0.0814 -0.0214 -0.0869 -0.30
C -0.733 -0.673 3.639 -0.2071 -0.3499 -0.2006 0.38
F -1.203 -1.932 3.434 0.0600 0.1621 0.1369 -0.19
F -0.137 -0.621 4.837 -0.0575 -0.0185 -0.0628 -0.27
C 0.306 -0.410 2.522 0.2415 0.2003 0.1199 0.98
F 1.008 0.696 2.844 -0.0366 -0.1477 -0.0289 -0.30
F -0.323 -0.207 1.358 0.0228 0.0264 -0.0482 -0.26
C 1.309 -1.595 2.330 0.1097 0.0779 -0.1494 0.30
F 1.597 -2.176 3.494 0.0638 0.0690 -0.0043 -0.26
F 0.781 -2.509 1.519 0.0320 0.0204 0.0287 -0.18
F 2.432 -1.129 1.787 -0.2239 -0.1202 0.0694 -0.23
C 1.971 4.242 0.454 0.3202 -0.2127 -0.0041 0.56
N 1.226 3.614 -0.465 -0.0179 -0.0632 -0.0022 -0.61
S 2.235 2.802 -1.415 -0.1119 0.1552 0.0140 0.21
N 3.636 3.193 -0.759 0.0023 -0.1022 0.0447 -0.58
C 3.372 3.984 0.288 0.0123 0.0614 0.1408 0.74
-- stop --
_What to do_
Quote the lines above from the one with "Entry 2:" to the one with "1.481 5.056" word for word.
_Completed_
Entry 2:
{
  "formula": "H4N2O2P",
  "method": "ωB97M-V/def2-TZVPD",
  "e_homo_ev": -3.991,
  "e_above_lowest_kj_mol": 567.5,
  "charge": -1,
  "e_lumo_ev": 4.5,
  "molar_mass_g_mol": 95.018,
  "smiles": "NN[P@H](=O)[O-]",
  "elements": ["O", "N", "O", "H", "H", "P", "H", "H", "N"],
  "xyz": [[2.6063, 1.0328, -0.1335], [-1.5395, -0.0373, 0.3255], [1.0058, -1.6431, -0.0203], [-1.6632, -0.8004, 1.1208], [-0.1399, 1.5530, 0.4648], [0.9538, -0.1818, -0.3453], [0.2679, 0.0367, -1.5300], [-1.2536, -0.4740, -0.5918], [-0.2376, 0.5141, 0.7098]],
  "nbo_charge": [-1.0877, -0.6829, -1.1398, 0.3546, 0.3604, 1.8605, -0.1927, 0.3310, -0.8034]
}

Entry 3:
{
  "formula": "H4N2O2P",
  "method": "ωB97M-V/def2-TZVPD",
  "e_homo_ev": [-1.940, -2.026],
  "e_above_lowest_kj_mol": 505.6,
  "charge": -1,
  "e_lumo_ev": [4.5, 4.5],
  "molar_mass_g_mol": 95.018,
  "elements": ["O", "H", "O", "P", "H", "H", "N", "N", "H"],
  "xyz": [[-0.9679, 1.9552, 0.3487], [-2.4705, 0.3297, -0.5354], [-2.6191, -0.5641, -0.4918], [-0.2007, 0.7864, -0.3172], [2.1727, -0.5503, -0.6247], [1.4278, 1.9643, 0.3036], [1.3587, 1.0612, -0.0158], [2.4957, 0.3489, -0.2229], [-1.7826, -0.8741, -0.6984]],
  "nbo_charge": [-1.1690, 0.4700, -0.9452, 1.0001, 0.2653, 0.3749, -0.6813, -0.7740, 0.4592]
}

----------

149
Properties=species:S:1:pos:R:3:forces:R:3:mulliken_charge:R:1 method="wB97M-V/def2-TZVPD" total_energy_ha=-5924.2145 fmax_ha_per_bohr=0.014
C 5.714 2.948 3.273 -0.1676 0.2023 -0.0857 -1.34
C 6.352 3.091 1.904 -0.0963 0.2129 0.2543 0.42
Cl 6.189 1.520 1.048 0.0563 -0.1179 -0.0242 -0.20
C 5.804 4.231 1.020 -0.1126 -0.3390 -0.2157 -1.69
C 4.342 4.536 1.182 -0.3990 0.3004 0.2968 0.36
C 3.844 5.350 2.168 -0.0115 -0.3971 -0.4297 -0.48
C 2.443 5.593 2.340 0.0026 -0.0732 -0.4514 -0.06
O 2.096 6.490 3.341 -0.3208 -0.2567 -0.1181 -0.61
C 1.481 5.056 1.514 0.2944 0.4693 0.4831 0.07